# To do
Could you work out how many lines further below have the word "the" in them; a number is enough?
# Material
# 1
Li2GeTeO6, optimized geometry, DFT GGA-PBE; corrected total energy (MP2020 scheme) = -6.140 eV per atom; formation energy from the elements = -2.01 eV/atom; magnetic moment = 0.0 μB per formula unit; uncorrected energy = -5.73 eV per atom; space-group type = No. 146
1.0
2.5402 1.4666 4.8775
-2.5402 1.4666 4.8775
0.0000 -2.9332 4.8775
Li Ge Te O
2 1 1 6
direct
0.0000 0.0000 0.0000
0.2648 0.2648 0.2648
0.7916 0.7916 0.7916
0.4717 0.4717 0.4717
0.0647 0.4265 0.6812
0.1915 0.8469 0.5806
0.4265 0.6812 0.0647
0.5806 0.1915 0.8469
0.6812 0.0647 0.4265
0.8469 0.5806 0.1915

***

# 2
Li2Zn3Ge6O16, optimized geometry, DFT GGA-PBE; corrected total energy (MP2020 scheme) = -6.340 eV per atom; formation energy from the elements = -2.10 eV/atom; magnetic moment = 0.0 μB per formula unit; uncorrected energy = -5.93 eV per atom; space-group type = No. 4
1.0
8.3168 0.0000 0.0000
0.0000 8.3158 0.0000
-0.0366 0.0000 8.3214
Li Zn Ge O
4 6 12 32
direct
0.1241 0.0000 0.1239
0.2509 0.6263 0.0025
0.7491 0.1263 0.9975
0.8759 0.5000 0.8761
0.0017 0.3756 0.2489
0.2498 0.1274 0.4983
0.4993 0.8741 0.2474
0.5007 0.3741 0.7526
0.7502 0.6274 0.5017
0.9983 0.8756 0.7511
0.1200 0.2545 0.8787
0.1302 0.7550 0.3741
0.1307 0.5084 0.6327
0.3721 0.9916 0.8727
0.3822 0.5012 0.3786
0.3832 0.2493 0.1301
0.6168 0.7493 0.8699
0.6178 0.0012 0.6214
0.6279 0.4916 0.1273
0.8693 0.0084 0.3673
0.8698 0.2550 0.6259
0.8800 0.7545 0.1213
0.1011 0.7464 0.1455
0.1064 0.9791 0.3786
0.1125 0.2649 0.6378
0.1118 0.7287 0.6038
0.1307 0.4834 0.8530
0.1377 0.5156 0.3907
0.1437 0.2538 0.1023
0.1471 0.0185 0.8712
0.3513 0.7304 0.3635
0.3567 0.4880 0.6009
0.3583 0.2362 0.8886
0.3620 0.2720 0.3509
0.3774 0.0246 0.1080
0.3898 0.4870 0.1398
0.3942 0.7734 0.8920
0.3963 0.0139 0.6441
0.6037 0.5139 0.3559
0.6058 0.2734 0.1080
0.6102 0.9870 0.8602
0.6226 0.5246 0.8920
0.6380 0.7720 0.6491
0.6417 0.7362 0.1114
0.6433 0.9880 0.3991
0.6487 0.2304 0.6365
0.8529 0.5185 0.1288
0.8563 0.7538 0.8977
0.8623 0.0156 0.6093
0.8693 0.9834 0.1470
0.8882 0.2287 0.3962
0.8875 0.7649 0.3622
0.8936 0.4791 0.6214
0.8989 0.2464 0.8545

***

# 3
Li3Zn3Ge6O16, optimized geometry, DFT GGA-PBE; corrected total energy (MP2020 scheme) = -6.238 eV per atom; formation energy from the elements = -2.08 eV/atom; magnetic moment = 0.0 μB per formula unit; uncorrected energy = -5.85 eV per atom; space-group type = No. 4
1.0
8.3999 0.0000 0.0000
0.0000 8.4004 0.0000
-0.0089 0.0000 8.4013
Li Zn Ge O
6 6 12 32
direct
0.1236 0.0000 0.1233
0.2503 0.6254 0.0008
0.3742 0.7505 0.6272
0.6258 0.2505 0.3728
0.7497 0.1254 0.9992
0.8764 0.5000 0.8767
0.9999 0.3767 0.2488
0.0001 0.8767 0.7512
0.2499 0.1254 0.4992
0.4996 0.3764 0.7513
0.5004 0.8764 0.2487
0.7501 0.6254 0.5008
0.1183 0.2540 0.8801
0.1262 0.5059 0.6337
0.1288 0.7548 0.3707
0.3726 0.9936 0.8761
0.3792 0.2496 0.1277
0.3794 0.5009 0.3761
0.6206 0.0009 0.6239
0.6208 0.7496 0.8723
0.6274 0.4936 0.1239
0.8712 0.2548 0.6293
0.8738 0.0059 0.3663
0.8817 0.7540 0.1199
0.1029 0.7472 0.1447
0.1063 0.9804 0.3775
0.1124 0.2641 0.6368
0.1226 0.7308 0.6060
0.1290 0.4806 0.8543
0.1392 0.5146 0.3891
0.1445 0.2535 0.1046
0.1471 0.0201 0.8725
0.3546 0.7331 0.3725
0.3575 0.4985 0.6029
0.3612 0.2366 0.8888
0.3726 0.2683 0.3541
0.3775 0.0232 0.1070
0.3896 0.4869 0.1403
0.3939 0.7720 0.8787
0.3948 0.0035 0.6429
0.6052 0.5035 0.3571
0.6061 0.2720 0.1213
0.6104 0.9869 0.8597
0.6225 0.5232 0.8930
0.6274 0.7683 0.6459
0.6388 0.7366 0.1112
0.6425 0.9985 0.3971
0.6454 0.2331 0.6275
0.8529 0.5201 0.1275
0.8555 0.7535 0.8954
0.8608 0.0146 0.6109
0.8710 0.9806 0.1457
0.8774 0.2308 0.3940
0.8876 0.7641 0.3632
0.8937 0.4804 0.6225
0.8971 0.2472 0.8553

***

# 4
Li5GeP3, optimized geometry, DFT GGA-PBE; formation energy from the elements = -0.52 eV/atom; magnetic moment = 0.0 μB per formula unit; uncorrected energy = -3.89 eV per atom; energy above the lowest structure with this stoichiometry = 16.4 meV/atom; space-group type = No. 15
1.0
6.5071 -2.9306 0.0000
6.5071 2.9306 0.0000
-2.6524 0.0000 7.9071
Li Ge P
# Written answer
4